Contents:
********
The following is a quantum chemistry calculation of a 2-piece molecular cluster, C8H13N3O overall in a non-equilibrium geometry, from OMol25.

Output
- orbital gap (eV) = 8.06
- strongest force on any atom (eV/A) = 3.89
- E_HOMO (eV) = -8.9
- energy relative to the best compared isomer or geometry (same formula, charge and spin) (kcal/mol) = 111.7
- 2S+1 = 1
- E_LUMO (Eh) = -0.030
- net charge = 0
- calculated total energy (Eh) = -551.98165

Atoms and positions in Å:
1 O 0.315 1.012 1.332
2 N 1.186 -2.435 -0.615
3 N 0.488 0.719 -0.851
4 N 3.410 0.415 1.038
5 C 1.009 -3.074 0.505
6 C -2.500 1.305 1.488
7 C 1.754 0.473 -0.877
8 C 2.552 -2.476 -1.163
9 C -0.283 0.951 0.282
10 C -2.094 2.384 -0.719
11 C 2.571 0.468 0.234
12 C -1.756 1.205 0.165
13 H 2.402 -3.162 -1.924
14 H -2.346 0.361 -0.296
15 H 3.272 -2.770 -0.328
16 H 0.138 -3.138 1.134
17 H -0.017 0.579 -1.649
18 H -3.521 1.355 1.218
19 H -2.263 0.411 2.141
20 H -1.633 2.301 -1.717
21 H 2.803 -1.517 -1.477
22 H -2.347 2.237 2.081
23 H 1.761 -3.484 1.169
24 H -1.700 3.413 -0.275
25 H -3.198 2.468 -0.896

----------

1.
{
  "formula": "C4H5Br4Cl",
  "method": "wB97M-V/def2-TZVPD",
  "elements": ["C", "C", "C", "C", "Cl", "Br", "Br", "Br", "Br", "H", "H", "H", "H", "H"],
  "xyz": [[1.494, 0.826, 1.686], [-1.619, -0.698, -1.646], [2.005, 0.741, 0.338], [-1.240, -0.687, -0.283], [-3.541, -1.197, -2.036], [1.926, -0.827, -0.669], [2.848, 2.144, -0.595], [-1.754, 0.835, 0.743], [-1.023, -2.363, 0.695], [2.038, 1.512, 2.286], [0.432, 1.140, 1.545], [1.439, -0.124, 2.319], [-1.384, -1.577, -2.191], [-1.621, 0.274, -2.193]],
  "forces_ev_per_a": [[-1.683, -1.113, 1.072], [-1.872, 0.423, -1.205], [1.194, -0.502, -1.503], [-0.765, -0.457, 1.660], [0.463, 0.489, 0.707], [0.152, -0.137, 0.059], [-0.277, -0.055, 0.586], [-0.216, -0.788, -0.606], [-0.301, 1.450, -0.849], [0.365, 0.941, 0.396], [0.876, 0.121, 0.857], [0.279, 0.853, -1.349], [1.357, -0.281, -0.440], [0.427, -0.945, 0.614]],
  "mulliken_charge": [-0.578, -0.676, 0.151, 0.172, -0.233, -0.063, -0.086, -0.068, 0.008, 0.396, -0.038, 0.272, 0.369, 0.373],
  "e_homo_ev": [-8.99, -7.81],
  "relative_energy_kcal_mol": 75.0,
  "orbital_gap_ev": [8.82, 5.73],
  "lumo_energy_ev": [-0.164, -2.074],
  "fmax_ev_per_a": 2.3
}


2.
{
  "formula": "C4H10N2",
  "method": "wB97M-V/def2-TZVPD",
  "elements": ["H", "N", "C", "N", "H", "H", "H", "C", "C", "C", "H", "H", "H", "H", "H", "H"],
  "xyz": [[-1.701, -2.416, -1.011], [-2.188, -1.531, -0.910], [-1.778, -0.733, -1.808], [-2.401, 0.485, -2.019], [-0.820, -0.794, -2.335], [-2.978, 0.690, -1.217], [-2.653, 0.885, -2.902], [0.967, -0.101, 2.551], [1.573, 0.812, 1.786], [2.316, 0.593, 0.503], [-0.112, -0.228, 2.636], [1.415, -1.065, 2.797], [1.100, 1.797, 1.747], [3.123, 1.300, 0.304], [2.462, -0.462, 0.252], [1.675, 0.770, -0.375]],
  "forces_ev_per_a": [[0.490, 0.153, 0.598], [-0.298, -0.278, -0.701], [0.227, 0.755, -0.311], [0.225, 0.025, 1.495], [-0.338, -0.685, -0.502], [-0.591, 0.230, -0.435], [0.304, -0.197, -0.130], [0.302, -1.618, -0.524], [-1.898, 0.687, -1.162], [0.617, -0.423, -0.493], [0.018, 1.458, 1.346], [0.314, -0.069, -0.798], [-0.313, -0.149, 0.029], [0.525, -0.545, 0.210], [1.131, 0.000, 0.706], [-0.714, 0.655, 0.671]],
  "mulliken_charge": [0.245, -0.672, 0.164, -0.465, 0.295, 0.230, 0.207, -0.586, -0.069, -0.951, 0.238, 0.275, 0.218, 0.314, 0.329, 0.227],
  "e_homo_ev": -8.75,
  "relative_energy_kcal_mol": 70.2,
  "orbital_gap_ev": 9.58,
  "lumo_energy_ev": 0.831,
  "smiles": "[H]/N=C/N.C=CC",
  "fmax_ev_per_a": 2.3
}


3.
{
  "formula": "C10H13ClN2O3Re",
  "method": "wB97M-V/def2-TZVPD",
  "elements": ["Cl", "C", "C", "C", "H", "C", "C", "H", "H", "H", "C", "Re", "C", "C", "O", "O", "H", "H", "H", "C", "N", "C", "N", "O", "H", "H", "H", "H", "H", "H"],
********
Exercise:
Please work out how many lines further up have the word "is" in them; a number is enough.
Response:
1